Given:
/*
# 1
Computed X-ray powder pattern
Compound: Pm6GaSe4
Radiation: CuKα
Structure: a PBE-relaxed structure
Peak positions follow from Bragg's law for the DFT cell and can differ from measured ones.

Most intense lines, 2θ = 10–90°, low angle first:
2θ/deg, Rel. int.
28.26, 91
29.34, 63
30.25, 100
31.71, 43
40.90, 40
43.93, 37

Structural model:
```
data_Pm6GaSe4
_chemical_formula_sum 'Pm12 Ga2 Se8'
_cell_length_a 7.230
_cell_length_b 7.230
_cell_length_c 21.283
_cell_angle_alpha 90.00
_cell_angle_beta 90.00
_cell_angle_gamma 146.88
_space_group_name_H-M_alt 'P 1'
_space_group_IT_number 1
loop_
_space_group_symop_operation_xyz
'x,y,z'
loop_
_atom_site_label
_atom_site_type_symbol
_atom_site_fract_x
_atom_site_fract_y
_atom_site_fract_z
Pm1 Pm 0.000 0.000 0.000
Pm2 Pm 0.000 0.000 0.500
Pm3 Pm 0.171 0.829 0.750
Pm4 Pm 0.275 0.725 0.085
Pm5 Pm 0.275 0.725 0.415
Pm6 Pm 0.446 0.554 0.667
Pm7 Pm 0.446 0.554 0.833
Pm8 Pm 0.554 0.446 0.167
Pm9 Pm 0.554 0.446 0.333
Pm10 Pm 0.725 0.275 0.585
Pm11 Pm 0.725 0.275 0.915
Pm12 Pm 0.829 0.171 0.250
Ga1 Ga 0.169 0.831 0.250
Ga2 Ga 0.831 0.169 0.750
Se1 Se 0.086 0.914 0.626
Se2 Se 0.086 0.914 0.874
Se3 Se 0.362 0.638 0.541
Se4 Se 0.362 0.638 0.959
Se5 Se 0.638 0.362 0.041
Se6 Se 0.638 0.362 0.459
Se7 Se 0.914 0.086 0.126
Se8 Se 0.914 0.086 0.374
```



# 2
Computed X-ray powder pattern
Compound: PmGa2Se4
Radiation: CuKα
Structure: a PBE-relaxed structure
Peak positions follow from Bragg's law for the DFT cell and can differ from measured ones.

Most intense lines, 2θ = 10–90°, low angle first:
2θ/deg, Rel. int.
17.87, 35
29.32, 100
32.12, 26
32.83, 37
46.59, 65
49.79, 23

Structural model:
```
data_PmGa2Se4
_chemical_formula_sum 'Pm1 Ga2 Se4'
_cell_length_a 6.346
_cell_length_b 6.346
_cell_length_c 6.346
_cell_angle_alpha 105.12
_cell_angle_beta 105.12
_cell_angle_gamma 118.58
_space_group_name_H-M_alt 'P 1'
_space_group_IT_number 1
loop_
_space_group_symop_operation_xyz
'x,y,z'
loop_
_atom_site_label
_atom_site_type_symbol
_atom_site_fract_x
_atom_site_fract_y
_atom_site_fract_z
Pm1 Pm 0.000 0.000 0.000
Ga1 Ga 0.250 0.750 0.500
Ga2 Ga 0.750 0.250 0.500
Se1 Se 0.185 0.334 0.519
Se2 Se 0.334 0.815 0.149
Se3 Se 0.666 0.185 0.851
Se4 Se 0.815 0.666 0.481
```
*/

Brief:
Type out the data earlier on with every line break kept.

Done:
# 1
Computed X-ray powder pattern
Compound: Pm6GaSe4
Radiation: CuKα
Structure: a PBE-relaxed structure
Peak positions follow from Bragg's law for the DFT cell and can differ from measured ones.

Most intense lines, 2θ = 10–90°, low angle first:
2θ/deg, Rel. int.
28.26, 91
29.34, 63
30.25, 100
31.71, 43
40.90, 40
43.93, 37

Structural model:
```
data_Pm6GaSe4
_chemical_formula_sum 'Pm12 Ga2 Se8'
_cell_length_a 7.230
_cell_length_b 7.230
_cell_length_c 21.283
_cell_angle_alpha 90.00
_cell_angle_beta 90.00
_cell_angle_gamma 146.88
_space_group_name_H-M_alt 'P 1'
_space_group_IT_number 1
loop_
_space_group_symop_operation_xyz
'x,y,z'
loop_
_atom_site_label
_atom_site_type_symbol
_atom_site_fract_x
_atom_site_fract_y
_atom_site_fract_z
Pm1 Pm 0.000 0.000 0.000
Pm2 Pm 0.000 0.000 0.500
Pm3 Pm 0.171 0.829 0.750
Pm4 Pm 0.275 0.725 0.085
Pm5 Pm 0.275 0.725 0.415
Pm6 Pm 0.446 0.554 0.667
Pm7 Pm 0.446 0.554 0.833
Pm8 Pm 0.554 0.446 0.167
Pm9 Pm 0.554 0.446 0.333
Pm10 Pm 0.725 0.275 0.585
Pm11 Pm 0.725 0.275 0.915
Pm12 Pm 0.829 0.171 0.250
Ga1 Ga 0.169 0.831 0.250
Ga2 Ga 0.831 0.169 0.750
Se1 Se 0.086 0.914 0.626
Se2 Se 0.086 0.914 0.874
Se3 Se 0.362 0.638 0.541
Se4 Se 0.362 0.638 0.959
Se5 Se 0.638 0.362 0.041
Se6 Se 0.638 0.362 0.459
Se7 Se 0.914 0.086 0.126
Se8 Se 0.914 0.086 0.374
```



# 2
Computed X-ray powder pattern
Compound: PmGa2Se4
Radiation: CuKα
Structure: a PBE-relaxed structure
Peak positions follow from Bragg's law for the DFT cell and can differ from measured ones.

Most intense lines, 2θ = 10–90°, low angle first:
2θ/deg, Rel. int.
17.87, 35
29.32, 100
32.12, 26
32.83, 37
46.59, 65
49.79, 23

Structural model:
```
data_PmGa2Se4
_chemical_formula_sum 'Pm1 Ga2 Se4'
_cell_length_a 6.346
_cell_length_b 6.346
_cell_length_c 6.346
_cell_angle_alpha 105.12
_cell_angle_beta 105.12
_cell_angle_gamma 118.58
_space_group_name_H-M_alt 'P 1'
_space_group_IT_number 1
loop_
_space_group_symop_operation_xyz
'x,y,z'
loop_
_atom_site_label
_atom_site_type_symbol
_atom_site_fract_x
_atom_site_fract_y
_atom_site_fract_z
Pm1 Pm 0.000 0.000 0.000
Ga1 Ga 0.250 0.750 0.500
Ga2 Ga 0.750 0.250 0.500
Se1 Se 0.185 0.334 0.519
Se2 Se 0.334 0.815 0.149
Se3 Se 0.666 0.185 0.851
Se4 Se 0.815 0.666 0.481
```